Please repeat everything further down exactly.

┌──
{"formula": "C26H22NO2PV", "method": "wB97M-V/def2-TZVPD", "species": ["V", "O", "C", "O", "C", "P", "C", "C", "C", "C", "C", "C", "C", "C", "C", "C", "C", "C", "H", "H", "H", "H", "H", "H", "H", "H", "H", "H", "H", "H", "N", "C", "C", "C", "C", "C", "C", "C", "C", "C", "C", "C", "C", "H", "H", "H", "H", "H", "H", "H", "H", "H", "H"], "coordinates": [[0.7837, -0.5686, -1.4818], [4.2893, -1.2268, -0.5036], [3.1501, -1.2456, -0.2045], [2.1315, -1.2631, -1.0858], [2.5443, -1.1530, 1.1903], [0.7373, -0.7643, 0.9791], [0.3187, 0.6790, 1.9691], [-0.9411, 0.7737, 2.5730], [-1.1884, 1.8084, 3.4561], [-0.2238, 2.7842, 3.6849], [0.9941, 2.7370, 3.0142], [1.2730, 1.6933, 2.1530], [-0.0918, -2.3194, 1.3813], [-0.7462, -2.5468, 2.5951], [-1.2410, -3.8120, 2.8774], [-1.0706, -4.8555, 1.9792], [-0.3810, -4.6380, 0.7913], [0.0970, -3.3794, 0.4785], [3.0904, -0.4094, 1.7845], [2.6761, -2.1206, 1.6983], [-1.7007, 0.0300, 2.3760], [-2.1405, 1.8568, 3.9625], [-0.4269, 3.5938, 4.3711], [1.7248, 3.5154, 3.1741], [2.2288, 1.6593, 1.6421], [-0.8410, -1.7676, 3.3368], [-1.7507, -3.9912, 3.8119], [-1.4531, -5.8414, 2.2089], [-0.2160, -5.4619, 0.1150], [0.6447, -3.2239, -0.4551], [-0.4211, -1.0903, -2.9011], [-1.3296, -0.2670, -2.2060], [-2.5037, -0.8233, -1.6611], [-3.4888, -0.0045, -1.1486], [-3.3454, 1.3841, -1.1967], [-2.1873, 1.9526, -1.6979], [-1.1465, 1.1568, -2.1861], [0.1383, 1.7793, -2.5464], [0.2299, 2.9859, -3.2454], [1.4629, 3.5917, -3.4328], [2.6307, 3.0383, -2.8940], [2.5681, 1.8181, -2.2382], [1.3440, 1.1919, -2.0721], [-0.7659, -2.0542, -3.0360], [-0.1228, -0.7381, -3.8248], [-2.6618, -1.8971, -1.7133], [-4.3925, -0.4423, -0.7537], [-4.1416, 2.0209, -0.8402], [-2.0719, 3.0275, -1.7005], [-0.6596, 3.4246, -3.6802], [1.5292, 4.5032, -4.0124], [3.5782, 3.5456, -3.0094], [3.4845, 1.3558, -1.8767]], "homo_lumo_gap_ha": 0.2162, "charge": 3, "homo_ev": -18.083, "de_lowest_kcal_mol": 27.5, "lumo_ha": -0.4483}

{"formula": "C26H23AuClGeNO2", "method": "wB97M-V/def2-TZVPD", "species": ["Au", "Cl", "C", "C", "C", "C", "N", "C", "H", "H", "H", "H", "O", "C", "O", "C", "C", "Ge", "C", "C", "C", "C", "C", "C", "C", "C", "C", "C", "C", "C", "C", "C", "C", "C", "C", "C", "H", "H", "H", "H", "H", "H", "H", "H", "H", "H", "H", "H", "H", "H", "H", "H", "H", "H", "H"], "coordinates": [[2.2660, -2.1067, 0.2703], [1.2562, -4.4481, 5.2215], [1.6412, -3.0133, 4.3563], [1.6320, -1.7798, 4.9892], [1.9677, -0.6643, 4.2418], [2.2761, -0.8123, 2.9040], [2.2587, -2.0032, 2.2903], [1.9583, -3.0901, 3.0122], [1.3705, -1.7032, 6.0354], [1.9848, 0.3172, 4.6921], [2.5402, 0.0417, 2.2970], [1.9741, -4.0436, 2.5044], [1.5779, -2.3220, -3.8037], [1.3347, -2.3086, -2.6125], [2.2555, -2.1099, -1.7116], [-0.1154, -2.5682, -2.1679], [-0.5949, -1.9156, -0.8725], [-0.5417, 0.0761, -0.8645], [0.9705, 0.9847, -1.7252], [2.2166, 1.1030, -1.1150], [3.2524, 1.7856, -1.7313], [3.0550, 2.3592, -2.9794], [1.8227, 2.2431, -3.6026], [0.7854, 1.5665, -2.9766], [-0.6437, 0.6263, 1.0319], [0.1801, 1.6074, 1.5806], [0.0431, 1.9928, 2.9082], [-0.9276, 1.4054, 3.7059], [-1.7617, 0.4322, 3.1715], [-1.6174, 0.0483, 1.8467], [-2.2025, 0.6978, -1.7241], [-3.1057, -0.2099, -2.2726], [-4.2935, 0.2214, -2.8475], [-4.5926, 1.5746, -2.8821], [-3.7014, 2.4919, -2.3421], [-2.5174, 2.0553, -1.7680], [-0.2007, -3.6571, -2.0905], [-0.7284, -2.2551, -3.0128], [-0.0210, -2.2897, -0.0230], [-1.6341, -2.1967, -0.6818], [2.3875, 0.6385, -0.1494], [4.2161, 1.8665, -1.2432], [3.8615, 2.8938, -3.4650], [1.6706, 2.6756, -4.5835], [-0.1760, 1.4844, -3.4702], [0.9271, 2.0867, 0.9581], [0.6858, 2.7635, 3.3180], [-1.0455, 1.7136, 4.7375], [-2.5307, -0.0189, 3.7867], [-2.2764, -0.7088, 1.4335], [-2.8795, -1.2695, -2.2589], [-4.9816, -0.5013, -3.2682], [-5.5180, 1.9137, -3.3302], [-3.9334, 3.5494, -2.3704], [-1.8275, 2.7796, -1.3468]], "homo_lumo_gap_ha": 0.2962, "charge": 0, "homo_ev": -8.688, "lumo_ha": -0.0231}
└──

{"formula": "C26H22NO2PV", "method": "wB97M-V/def2-TZVPD", "species": ["V", "O", "C", "O", "C", "P", "C", "C", "C", "C", "C", "C", "C", "C", "C", "C", "C", "C", "H", "H", "H", "H", "H", "H", "H", "H", "H", "H", "H", "H", "N", "C", "C", "C", "C", "C", "C", "C", "C", "C", "C", "C", "C", "H", "H", "H", "H", "H", "H", "H", "H", "H", "H"], "coordinates": [[0.7837, -0.5686, -1.4818], [4.2893, -1.2268, -0.5036], [3.1501, -1.2456, -0.2045], [2.1315, -1.2631, -1.0858], [2.5443, -1.1530, 1.1903], [0.7373, -0.7643, 0.9791], [0.3187, 0.6790, 1.9691], [-0.9411, 0.7737, 2.5730], [-1.1884, 1.8084, 3.4561], [-0.2238, 2.7842, 3.6849], [0.9941, 2.7370, 3.0142], [1.2730, 1.6933, 2.1530], [-0.0918, -2.3194, 1.3813], [-0.7462, -2.5468, 2.5951], [-1.2410, -3.8120, 2.8774], [-1.0706, -4.8555, 1.9792], [-0.3810, -4.6380, 0.7913], [0.0970, -3.3794, 0.4785], [3.0904, -0.4094, 1.7845], [2.6761, -2.1206, 1.6983], [-1.7007, 0.0300, 2.3760], [-2.1405, 1.8568, 3.9625], [-0.4269, 3.5938, 4.3711], [1.7248, 3.5154, 3.1741], [2.2288, 1.6593, 1.6421], [-0.8410, -1.7676, 3.3368], [-1.7507, -3.9912, 3.8119], [-1.4531, -5.8414, 2.2089], [-0.2160, -5.4619, 0.1150], [0.6447, -3.2239, -0.4551], [-0.4211, -1.0903, -2.9011], [-1.3296, -0.2670, -2.2060], [-2.5037, -0.8233, -1.6611], [-3.4888, -0.0045, -1.1486], [-3.3454, 1.3841, -1.1967], [-2.1873, 1.9526, -1.6979], [-1.1465, 1.1568, -2.1861], [0.1383, 1.7793, -2.5464], [0.2299, 2.9859, -3.2454], [1.4629, 3.5917, -3.4328], [2.6307, 3.0383, -2.8940], [2.5681, 1.8181, -2.2382], [1.3440, 1.1919, -2.0721], [-0.7659, -2.0542, -3.0360], [-0.1228, -0.7381, -3.8248], [-2.6618, -1.8971, -1.7133], [-4.3925, -0.4423, -0.7537], [-4.1416, 2.0209, -0.8402], [-2.0719, 3.0275, -1.7005], [-0.6596, 3.4246, -3.6802], [1.5292, 4.5032, -4.0124], [3.5782, 3.5456, -3.0094], [3.4845, 1.3558, -1.8767]], "homo_lumo_gap_ha": 0.2162, "charge": 3, "homo_ev": -18.083, "de_lowest_kcal_mol": 27.5, "lumo_ha": -0.4483}

{"formula": "C26H23AuClGeNO2", "method": "wB97M-V/def2-TZVPD", "species": ["Au", "Cl", "C", "C", "C", "C", "N", "C", "H", "H", "H", "H", "O", "C", "O", "C", "C", "Ge", "C", "C", "C", "C", "C", "C", "C", "C", "C", "C", "C", "C", "C", "C", "C", "C", "C", "C", "H", "H", "H", "H", "H", "H", "H", "H", "H", "H", "H", "H", "H", "H", "H", "H", "H", "H", "H"], "coordinates": [[2.2660, -2.1067, 0.2703], [1.2562, -4.4481, 5.2215], [1.6412, -3.0133, 4.3563], [1.6320, -1.7798, 4.9892], [1.9677, -0.6643, 4.2418], [2.2761, -0.8123, 2.9040], [2.2587, -2.0032, 2.2903], [1.9583, -3.0901, 3.0122], [1.3705, -1.7032, 6.0354], [1.9848, 0.3172, 4.6921], [2.5402, 0.0417, 2.2970], [1.9741, -4.0436, 2.5044], [1.5779, -2.3220, -3.8037], [1.3347, -2.3086, -2.6125], [2.2555, -2.1099, -1.7116], [-0.1154, -2.5682, -2.1679], [-0.5949, -1.9156, -0.8725], [-0.5417, 0.0761, -0.8645], [0.9705, 0.9847, -1.7252], [2.2166, 1.1030, -1.1150], [3.2524, 1.7856, -1.7313], [3.0550, 2.3592, -2.9794], [1.8227, 2.2431, -3.6026], [0.7854, 1.5665, -2.9766], [-0.6437, 0.6263, 1.0319], [0.1801, 1.6074, 1.5806], [0.0431, 1.9928, 2.9082], [-0.9276, 1.4054, 3.7059], [-1.7617, 0.4322, 3.1715], [-1.6174, 0.0483, 1.8467], [-2.2025, 0.6978, -1.7241], [-3.1057, -0.2099, -2.2726], [-4.2935, 0.2214, -2.8475], [-4.5926, 1.5746, -2.8821], [-3.7014, 2.4919, -2.3421], [-2.5174, 2.0553, -1.7680], [-0.2007, -3.6571, -2.0905], [-0.7284, -2.2551, -3.0128], [-0.0210, -2.2897, -0.0230], [-1.6341, -2.1967, -0.6818], [2.3875, 0.6385, -0.1494], [4.2161, 1.8665, -1.2432], [3.8615, 2.8938, -3.4650], [1.6706, 2.6756, -4.5835], [-0.1760, 1.4844, -3.4702], [0.9271, 2.0867, 0.9581], [0.6858, 2.7635, 3.3180], [-1.0455, 1.7136, 4.7375], [-2.5307, -0.0189, 3.7867], [-2.2764, -0.7088, 1.4335], [-2.8795, -1.2695, -2.2589], [-4.9816, -0.5013, -3.2682], [-5.5180, 1.9137, -3.3302], [-3.9334, 3.5494, -2.3704], [-1.8275, 2.7796, -1.3468]], "homo_lumo_gap_ha": 0.2962, "charge": 0, "homo_ev": -8.688, "lumo_ha": -0.0231}